Wanted:
The reader should filter the material underneath: keep the lines with the word "population".
Source:
/*
1.
# C5H6BrNO2

A cluster of 2 separate species, C5H6BrNO2 in total in a non-equilibrium geometry (ωB97M-V/def2-TZVPD, the Open Molecules 2025 dataset).

```
15
C5H6BrNO2 ωB97M-V/def2-TZVPD
C -1.33729 -1.82619 -0.37508
C -0.94208 -1.88941 0.88496
C 0.26314 1.94636 0.31335
C -0.55698 -0.78553 -1.07244
C 0.56582 -0.48897 -0.01134
N 1.26829 2.64042 0.77666
O -0.68750 2.28462 -0.30675
O 0.13701 -1.13616 1.15897
Br 2.44062 -0.56838 -0.27770
H -2.05420 -2.46409 -0.91447
H -1.26580 -2.56557 1.77204
H -0.20414 -1.21042 -2.04569
H -0.97273 0.21358 -1.39205
H 2.06382 2.25320 1.17533
H 1.28203 3.59654 0.31420
```

Values from the calculation:
E_tot	-80906.1142	eV
LUMO level (alpha / beta)	0.004 / 0.006	Ha
relative energy (zero: lowest compared OMol25 entry of this formula, charge and spin)	1.801	eV

natural (NBO) population analysis, charges in e, atoms 1 to 4:
1. C -0.31
2. C 0.13
3. C 0.70
4. C -0.54

=====

2.
# C3H7I2N2O2

A structure of composition C3H7I2N2O2 in a non-equilibrium geometry (ωB97M-V/def2-TZVPD, the Open Molecules 2025 dataset).

```
16
C3H7I2N2O2 ωB97M-V/def2-TZVPD
C -1.33961 0.12574 0.17152
C 0.44760 1.76480 -0.57789
C -0.07560 0.33277 -0.66661
N -2.42232 -0.00500 -0.59067
N 1.53772 -2.25382 1.62909
O -1.30540 0.15883 1.38137
O 1.12478 2.27220 -1.64353
I 1.51045 0.42446 0.81841
I 0.29862 -0.70826 -2.42131
H -0.28765 2.36385 -0.08692
H -2.43116 0.47347 -1.54768
H -3.40143 -0.25897 -0.34889
H 0.73756 -2.57780 1.22764
H 1.49025 -2.34909 2.71132
H 2.27542 -2.78465 1.33423
H 1.84079 3.02147 -1.39008
```

Values from the calculation:
E_tot	-26491.8534	eV
LUMO level	-0.173	Ha
relative energy (zero: lowest compared OMol25 entry of this formula, charge and spin)	1.954	eV
total charge	+1

natural (NBO) population analysis, charges in e, atoms 1 to 4:
1. C 0.58
2. C 0.02
3. C -0.40
4. N -0.81

=====

3.
# C25H43BrCoN2P2

A structure of composition C25H43BrCoN2P2 in a non-equilibrium geometry (ωB97M-V/def2-TZVPD, the Open Molecules 2025 dataset).

```
74
C25H43BrCoN2P2 ωB97M-V/def2-TZVPD
N -1.28852 6.55219 -5.14944
C -0.08115 5.97345 -5.11675
C 0.30251 5.09357 -4.09652
C -0.65827 4.71602 -3.12051
C -1.92941 5.36036 -3.15654
C -2.19115 6.26475 -4.20160
C -0.42301 3.56800 -2.29110
Co -0.72093 2.15950 -0.46977
P -2.47046 -3.21806 0.32845
C -1.52623 2.63749 -2.04285
C -1.60752 1.38554 -2.84210
C -2.87165 0.80537 -2.98011
C -3.01563 -0.42414 -3.62162
C -1.87455 -1.05888 -4.12212
C -0.60788 -0.48256 -3.99295
C -0.49676 0.79879 -3.46012
Br -2.09605 -2.62733 -5.12766
H 0.62665 3.25409 -2.18158
H -2.50687 3.05625 -1.73870
H 1.29496 4.65980 -4.08442
H -2.69688 5.17427 -2.40347
H 0.61349 6.22838 -5.92164
H -3.16530 6.77107 -4.26710
H -3.71984 1.37110 -2.62954
H 0.47629 1.28400 -3.49658
H -3.99403 -0.89126 -3.69965
H 0.28894 -0.99135 -4.33440
P -1.54800 2.02653 1.45474
C -2.02628 -3.29475 -1.44224
C -2.70201 -4.48175 -2.13694
H -0.93205 -3.37663 -1.50109
H -2.31193 -2.34609 -1.91520
H -2.27675 -4.64146 -3.13166
H -2.57562 -5.39766 -1.55167
H -3.77880 -4.31674 -2.25090
C -3.85640 -2.03129 0.37387
C -5.11326 -2.67267 0.97227
H -4.03256 -1.70354 -0.65856
H -3.54133 -1.15543 0.95456
H -5.97836 -2.00961 0.86253
H -5.34771 -3.62195 0.47997
H -4.97802 -2.89441 2.03656
C -1.05287 -2.54824 1.24649
C -0.61183 -3.53666 2.33758
H -1.33959 -1.58052 1.68276
H -0.24135 -2.37835 0.52559
H -0.00944 -3.04539 3.10928
H -1.48038 -3.98956 2.82730
H -0.02519 -4.35516 1.90568
C -0.49502 1.33846 2.77993
C -0.45992 2.13716 4.07673
H 0.52793 1.21284 2.39178
H -0.86992 0.32219 2.96737
H 0.23457 2.97955 4.00806
H -1.43401 2.52871 4.37670
H -0.11636 1.49422 4.89070
C -3.23483 1.62169 1.94474
C -4.31916 2.14447 1.01441
H -3.36270 2.01704 2.96113
H -3.25377 0.52638 2.02243
H -4.30249 3.23731 0.95009
H -4.22043 1.73199 0.00598
H -5.30195 1.85726 1.40495
C -1.47035 3.85511 1.56534
C -0.13410 4.33912 1.03071
H -1.63070 4.14082 2.61107
H -2.28836 4.28598 0.96342
H -0.27333 5.36502 0.66921
H 0.62831 4.35677 1.81947
H 0.24994 3.71959 0.18012
N 0.37541 0.49330 -0.36930
*/
Reply:
natural (NBO) population analysis, charges in e, atoms 1 to 4:
natural (NBO) population analysis, charges in e, atoms 1 to 4: